**Wanted:**
Please filter the entries further down: keep the lines with the word "data_Pr2ErAgS5".

**Listing:**
┌──
Diffraction record for CePm12Pr2. The powder diffraction line list is simulated, not measured: it uses a cell relaxed with PBE and Cu Kα.
Lines closer than 0.1° are merged.

Peak list (8 most intense, 10 to 80 degrees two-theta, sorted by position)
3.186 Å, I = 86
3.067 Å, I = 51
2.923 Å, I = 100
2.861 Å, I = 92
2.821 Å, I = 59
2.780 Å, I = 97
2.416 Å, I = 63
2.327 Å, I = 57

Structure:
Unit cell a=6.5824 b=6.5824 c=25.3905 alpha=90.00 beta=90.00 gamma=90.00
Element x y z (fractional)
1 Ce 0.2500 0.7500 0.0000
2 Ce 0.7500 0.2500 0.0000
3 Pm 0.0636 0.5636 0.1122
4 Pm 0.0636 0.9364 0.8878
5 Pm 0.0824 0.5824 0.4381
6 Pm 0.0824 0.9176 0.5619
7 Pm 0.2500 0.2500 0.2137
8 Pm 0.2500 0.2500 0.3377
9 Pm 0.2500 0.2500 0.6623
10 Pm 0.2500 0.2500 0.7863
11 Pm 0.4176 0.5824 0.5619
12 Pm 0.4176 0.9176 0.4381
13 Pm 0.4364 0.5636 0.8878
14 Pm 0.4364 0.9364 0.1122
15 Pm 0.5636 0.0636 0.8878
16 Pm 0.5636 0.4364 0.1122
17 Pm 0.5824 0.0824 0.5619
18 Pm 0.5824 0.4176 0.4381
19 Pm 0.7500 0.7500 0.2137
20 Pm 0.7500 0.7500 0.3377
21 Pm 0.7500 0.7500 0.6623
22 Pm 0.7500 0.7500 0.7863
23 Pm 0.9176 0.0824 0.4381
24 Pm 0.9176 0.4176 0.5619
25 Pm 0.9364 0.0636 0.1122
26 Pm 0.9364 0.4364 0.8878
27 Pr 0.2500 0.7500 0.2665
28 Pr 0.2500 0.7500 0.7335
29 Pr 0.7500 0.2500 0.2665
30 Pr 0.7500 0.2500 0.7335

=====

Diffraction record for La4PmDy7. The powder diffraction line list is simulated, not measured: it uses a cell relaxed with PBE and Cu Kα.
Lines closer than 0.1° are merged.

Peak list (8 most intense, 10 to 80 degrees two-theta, sorted by position)
2.958 Å, I = 100
2.939 Å, I = 33
2.557 Å, I = 67
1.813 Å, I = 24
1.804 Å, I = 24
1.546 Å, I = 14
1.543 Å, I = 29
1.538 Å, I = 14

Structure:
Unit cell a=3.6253 b=3.6253 c=35.2729 alpha=90.00 beta=90.00 gamma=120.00
Element x y z (fractional)
1 La 0.3333 0.6667 0.1666
2 La 0.3333 0.6667 0.4162
3 La 0.6667 0.3333 0.5838
4 La 0.6667 0.3333 0.8334
5 Pm 0.0000 0.0000 0.0000
6 Dy 0.0000 0.0000 0.2512
7 Dy 0.0000 0.0000 0.5000
8 Dy 0.0000 0.0000 0.7488
9 Dy 0.3333 0.6667 0.6683
10 Dy 0.3333 0.6667 0.9177
11 Dy 0.6667 0.3333 0.0823
12 Dy 0.6667 0.3333 0.3317

=====

Diffraction record for LaDyGaPd. The powder diffraction line list is simulated, not measured: it uses a cell relaxed with PBE and Cu Kα.
Lines closer than 0.1° are merged.

Peak list (8 most intense, 10 to 80 degrees two-theta, sorted by position)
2.972 Å, I = 100
2.704 Å, I = 35
2.614 Å, I = 18
2.316 Å, I = 50
2.259 Å, I = 20
2.245 Å, I = 26
2.142 Å, I = 23
1.727 Å, I = 18

Structure:
Unit cell a=4.4909 b=5.6507 c=5.6507 alpha=44.56 beta=90.00 gamma=90.00
Element x y z (fractional)
1 La 0.0000 0.0000 0.0000
2 Dy 0.5000 0.7166 0.7166
3 Ga 0.5000 0.4216 0.4216
4 Pd 0.0000 0.2775 0.2775

=====

Starting from the PBE geometry in Alexandria, the XRD peak list of Pr2ErAgS5 was computed for Cu Ka.

Atomic structure:
```
data_Pr2ErAgS5
_chemical_formula_sum 'Pr8 Er4 Ag4 S20'
_symmetry_space_group_name_H-M 'C m c 21'
_symmetry_Int_Tables_number 36
_cell_length_a 4.0064
_cell_length_b 16.7440
_cell_length_c 12.0923
_cell_angle_alpha 90.00
_cell_angle_beta 90.00
_cell_angle_gamma 90.00
loop_
_symmetry_equiv_pos_as_xyz
'x,y,z'
'-x,-y,z+1/2'
'-x,y,z'
'x,-y,z+1/2'
'x+1/2,y+1/2,z'
'-x+1/2,-y+1/2,z+1/2'
'-x+1/2,y+1/2,z'
'x+1/2,-y+1/2,z+1/2'
loop_
_atom_site_label
_atom_site_type_symbol
_atom_site_fract_x
_atom_site_fract_y
_atom_site_fract_z
Pr1 Pr 0.0000 0.1100 0.0000
Pr2 Pr 0.0000 0.1262 0.6193
Er1 Er 0.0000 0.1963 0.3217
Ag1 Ag 0.0000 0.4574 0.7785
S1 S 0.0000 0.0487 0.3952
S2 S 0.0000 0.2866 0.9770
S3 S 0.0000 0.3059 0.6639
S4 S 0.0000 0.3578 0.3147
S5 S 0.0000 0.4979 0.0870
```

Largest 10 diffraction maxima, by angle, 5° ≤ 2θ ≤ 70°:
| d/Å | 2θ (°) | I/Imax | index |
| --- | --- | --- | --- |
| 3.632 | 24.5 | 69.7 | 0 2 3 |
| 3.275 | 27.2 | 36.9 | 1 1 2 |
| 3.255 | 27.4 | 49.3 | 1 3 0 |
| 3.143 | 28.4 | 30.4 | 1 3 1 |
| 2.801 | 31.9 | 100.0 | 1 1 3 |
| 2.719 | 32.9 | 58.2 | 0 6 1 |
| 2.365 | 38.1 | 55.3 | 1 5 2 |
| 2.167 | 41.7 | 26.3 | 1 5 3 |
└──

**Outcome:**
data_Pr2ErAgS5